An Unexpected Journey: Our Path to FamilyLife
Our journey to FamilyLife began in 2008 around a rectangular IKEA table in the corner of our Madrid, Spain apartment. We were serving as foreign missionaries and this particular day was a somber one. If you’ve ever had a “family summit” with your spouse where hard things needed to be put on the table, this was it.
“I need you to lead our family,” Dawn said with tears flowing down her cheeks. “I want our family to be a launching pad for discipleship.”
She ended with this mic drop moment. “Healthy ministry comes from a healthy family, and Paul, ours is not.” A year after that infamous summit, we were off the mission field and back home in Texas—tails between our legs.
An unexpected journey
Fast forward 12 short years and Dawn and I are still marveling at God’s providence and sense of humor. Who but God could take a spectacular failure in work-life balance and (a lack of) family discipleship, use it to change the heart of a stubborn husband, and lead this family to a ministry focused on bringing godly principles and hope to families around the world.
As I write this in our house in Orlando, I’m reflecting on the past 12 years and those steps and markers God put in our path to propel us toward FamilyLife. Maybe you’re reading this as you consider engaging with FamilyLife as a volunteer or full-time staff. Perhaps you’re not thinking in that direction but wondering how one moves from prodding from the Lord to action.
What if you’re asking the same ministry questions Dawn and I did prior to starting an application with FamilyLife? Questions like:
- What is my calling?
- Am I qualified?
- Do I have what it takes?
Record 1
For Au4Br3Cl, the PBE geometry in OQMD gives the calculated powder X-ray diffraction pattern in this record (Cu Kα (weighted mean of Kα1 and Kα2)).
Lines closer than 0.1° are merged.

Most intense lines, 15° ≤ 2θ ≤ 90°, low angle first:
d 3.020, 29.57 deg, I = 100; d 2.498, 35.96 deg, I = 60; d 2.077, 43.59 deg, I = 44; d 1.955, 46.44 deg, I = 30; d 1.802, 50.65 deg, I = 37; d 1.555, 59.43 deg, I = 27

Structure:
a b c (Å): 6.219 6.227 12.567
angles (deg): 90.00 90.00 90.00
Fractional positions:
Au 0.000 0.247 0.000
Au 0.000 0.753 0.000
Au 0.250 0.000 0.502
Au 0.250 0.500 0.502
Au 0.500 0.253 0.000
Au 0.500 0.747 0.000
Au 0.750 0.000 0.502
Au 0.750 0.500 0.502
Br 0.000 0.000 0.348
Br 0.000 0.500 0.151
Br 0.000 0.500 0.656
Br 0.500 0.000 0.151
Br 0.500 0.000 0.656
Br 0.500 0.500 0.348
Cl 0.000 0.000 0.857
Cl 0.500 0.500 0.857


Record 2
For NbAlMo, the PBE geometry in OQMD gives the calculated powder X-ray diffraction pattern in this record (Cu Kα (weighted mean of Kα1 and Kα2)).
Lines closer than 0.1° are merged.

Most intense lines, 15° ≤ 2θ ≤ 90°, low angle first:
d 3.041, 29.37 deg, I = 77; d 2.150, 42.02 deg, I = 100; d 1.756, 52.09 deg, I = 20; d 1.520, 60.93 deg, I = 16; d 1.360, 69.07 deg, I = 25; d 1.241, 76.78 deg, I = 33

Structure:
a b c (Å): 6.082 6.082 6.082
angles (deg): 90.00 90.00 90.00
Fractional positions:
Nb 0.000 0.000 0.000
Nb 0.000 0.500 0.500
Nb 0.500 0.000 0.500
Nb 0.500 0.500 0.000
Al 0.250 0.250 0.750
Al 0.250 0.750 0.250
Al 0.750 0.250 0.250
Al 0.750 0.750 0.750
Mo 0.000 0.000 0.500
Mo 0.000 0.500 0.000
Mo 0.500 0.000 0.000
Mo 0.500 0.500 0.500


Record 3
For NdTmCN2O2, the PBE geometry in OQMD gives the calculated powder X-ray diffraction pattern in this record (Cu Kα (weighted mean of Kα1 and Kα2)).
Lines closer than 0.1° are merged.

Most intense lines, 15° ≤ 2θ ≤ 90°, low angle first:
d 3.028, 29.50 deg, I = 100; d 2.551, 35.17 deg, I = 43; d 2.095, 43.18 deg, I = 21; d 1.881, 48.39 deg, I = 28; d 1.736, 52.73 deg, I = 25; d 1.550, 59.66 deg, I = 20

Structure:
a b c (Å): 3.762 3.762 8.206
angles (deg): 90.00 90.00 120.00
Fractional positions:
Nd 0.000 0.000 0.000
Tm 0.667 0.333 0.643
C 0.333 0.667 0.327
N 0.333 0.667 0.176
N 0.333 0.667 0.477
O 0.000 0.000 0.708
O 0.667 0.333 0.913


Record 4
For Sc3CoB2, the PBE geometry in OQMD gives the calculated powder X-ray diffraction pattern in this record (Cu Kα (weighted mean of Kα1 and Kα2)).
Lines closer than 0.1° are merged.

Most intense lines, 15° ≤ 2θ ≤ 90°, low angle first:
d 2.760, 32.44 deg, I = 24; d 2.445, 36.76 deg, I = 100; d 2.301, 39.16 deg, I = 29; d 1.881, 48.39 deg, I = 27; d 1.608, 57.29 deg, I = 27; d 1.168, 82.57 deg, I = 13

Structure:
a b c (Å): 3.216 3.216 20.406
angles (deg): 90.00 90.00 120.00
Fractional positions:
Sc 0.000 0.000 0.000
Sc 0.000 0.000 0.500
Sc 0.333 0.667 0.156
Sc 0.333 0.667 0.344
Sc 0.667 0.333 0.656
Sc 0.667 0.333 0.844
Co 0.000 0.000 0.250
Co 0.000 0.000 0.750
B 0.333 0.667 0.580
B 0.333 0.667 0.920
- How could I be involved with a family ministry after a spectacular failure in my own family?
Let me encourage you to keep asking those questions. And here are a few reminders to help you on your own journey.
Your journey is holy
Asking questions like the ones above is good. Keep doing that. But never forget your journey belongs to God. And because it does, it is holy.
Your calling is not to a place, ministry, role, or some geographical location but to a person. That person is Jesus Christ. It belongs to Him, and be refreshed to know your most important calling is to abide in and glorify Him with your life.
Prayer brings our hearts in tune with His so we can hear His still, small voice. In prayer, we come to God in worship. And the requests that are a natural part of praying include the need to know what He would have us do. See Acts 22:6-10.
Walk with God.
As we abide in Him, we get to know His mind. We hear His voice and know His heart, but we still come to Him and lay before Him our major decisions and life choices asking for guidance. Abide in Him in this season. Spend time in His Word.
“Trust in the Lord with all your heart, and do not lean on your own understanding. In all your ways acknowledge him, and he will make straight your paths” (Proverbs 3:5-6).
Your journey is not linear
Dawn and I didn’t bounce from jobs to seminary to Spain and back home to the U.S. in a straight line. Our course and trajectory have been filled with spectacular failures, incredible highs and lows, and detours and delays. Have you ever stopped to think about all the times biblical accounts involved detours and delays? The wilderness journey for the Israelites. Joshua and Nehemiah.
During our journey to Spain and then to FamilyLife, we learned three important truths:
- Detours and delays are God’s divine tools in shaping who you and will become.
- God is always at work.
- Keep stepping out in faith.
Excavate the root lies.
When Dawn and I are faced with big decisions, like joining an international ministry full-time, we can let worry and anxiousness umpire our hearts.
Several years ago, we began peeling back the curtain on why big decisions bring about those emotions in us. It came down to this: When we’re anxious about decisions, there are root lies we’re believing about the Lord. Here are just a few:
- Root lie: God’s not trustworthy. God loves me, but He’s not going to show up and reveal Himself and His plans. So, I need to press forward with the best decision I can make.
- Root lie: God’s not really in charge or in control. I need to make the decision for myself. Sure, I’ll ask God to “bless” me.
- Root lie: God doesn’t want the best for me.
As you face decisions like the one you may be facing as you read this, ask the Lord to do His excavation work in your heart. Invite Him to dig out those root lies you believe about Him during the decision-making process. Let’s expose and confront the lies with the truth of Scripture!
One last thing …
Keep moving, friends. Keep trusting Him through the ups and down of this season or journey He has you in. And be reminded that you can trust Him in all things—even the detours and delays.
Join us in the conversation about His place and His passion in the Great Commission. If you’re investigating if your next steps could be with FamilyLife, please reach out to us through our Career Opportunities page.
Copyright © 2020 by FamilyLife. All rights reserved.
Paul Cox and his wife, Dawn, joined FamilyLife in 2015. Paul leads a team of amazing Missionary Mobilizers (Recruiters) whose role and passion it is to shepherd the calling journeys of individuals who desire to serve at the ministry. Dawn assists Paul with mobilization projects while homeschooling their five children.